Brief
Could you start at the top of the entries underneath and repeat each line, ending with the one that has "-6.201879 0.449441"?

Contents
........
# 1
Here is C47H41BN2O2RhS2Sb as an isolated structure from the Open Molecules 2025 dataset. Energies are from the ωB97M-V functional and the def2-TZVPD basis.

The HOMO energy comes out at -7.918 eV. As for the energy relative to the best compared isomer or geometry (same formula, charge and spin): 40.0 kcal per mole. The HOMO-LUMO gap comes out at 6.9 eV. The total energy comes out at -3247.66032 hartree. Its LUMO energy is -1.0 eV.

```
97
Properties=species:S:1:pos:R:3:forces:R:3
Rh -0.579333 -1.658704 -1.036323 -0.775 -0.777 -1.923
S -1.311317 -2.758190 -3.170007 0.207 -0.049 -0.436
C -0.554746 -3.963599 -2.213060 0.160 0.160 0.179
N 0.253440 -3.563119 -1.235439 -0.756 -0.281 -0.204
C 0.715498 -4.613861 -0.469560 0.050 -0.432 0.180
C 1.576759 -4.524122 0.619698 -0.088 -0.012 -0.068
C 1.954213 -5.690244 1.255846 0.036 0.034 0.060
C 1.495874 -6.932320 0.821202 -0.066 -0.103 -0.046
C 0.645276 -7.035074 -0.266356 0.024 -0.027 0.036
C 0.256828 -5.867391 -0.905139 0.054 0.180 -0.003
S -0.793665 -5.675368 -2.292506 0.139 0.114 0.145
H 1.921792 -3.557617 0.953605 -0.008 0.055 0.049
H 2.613128 -5.638893 2.112166 0.018 0.008 0.001
H 1.802445 -7.828734 1.342286 0.011 -0.019 0.001
H 0.287506 -7.998415 -0.602349 0.002 -0.026 -0.012
N -7.371299 -3.187055 6.085790 -0.001 0.000 -0.004
C -6.547456 -3.026559 5.299820 -0.504 -0.098 0.490
C -5.530951 -2.826403 4.331993 0.539 0.055 -0.484
C -5.124739 -1.529984 4.005458 -0.131 -0.170 0.127
C -4.140059 -1.338197 3.063020 0.148 -0.128 -0.134
C -3.543753 -2.430754 2.417403 -0.580 -0.228 0.517
C -3.947398 -3.728473 2.767242 0.113 0.186 -0.101
C -4.929144 -3.926928 3.713241 -0.114 0.177 0.125
C -2.563807 -2.218691 1.425703 0.751 0.160 -0.971
C -1.765132 -1.987276 0.537680 1.250 0.686 0.376
H -5.589355 -0.685340 4.496059 -0.005 -0.005 0.018
H -3.813662 -0.339633 2.810936 -0.015 0.008 -0.014
H -3.476357 -4.572384 2.282371 -0.003 0.005 -0.023
H -5.238040 -4.927399 3.982836 -0.025 -0.002 0.003
C 6.292121 2.671089 -0.847146 0.019 0.007 0.027
C 6.141973 2.099410 0.562150 0.090 0.049 -0.012
C 6.016361 3.273776 1.542480 0.000 -0.006 -0.032
C 7.404796 1.291417 0.891168 -0.005 0.041 -0.021
C 4.917801 1.199719 0.689291 -0.030 -0.002 -0.028
C 4.628552 0.622198 1.927065 0.134 0.068 0.065
C 3.536764 -0.204259 2.143684 -0.237 -0.150 -0.087
C 2.710880 -0.439860 1.065954 0.566 0.399 -0.251
O 1.577892 -1.191123 0.988926 -0.271 -0.187 -0.305
B 1.115861 -1.044011 -0.331336 -0.077 0.891 1.494
O 2.006220 -0.232181 -1.062100 -0.341 -0.468 -0.168
C 2.982928 0.133014 -0.169701 0.151 -0.142 0.370
C 4.074740 0.942225 -0.392295 -0.098 -0.123 0.036
H 7.156433 3.334723 -0.879759 0.034 0.015 -0.002
H 5.417695 3.252267 -1.141864 -0.038 0.038 -0.008
H 6.449932 1.885990 -1.586750 -0.008 -0.045 -0.035
H 6.878271 3.936246 1.450251 0.039 0.022 0.002
H 5.963586 2.932903 2.575486 -0.003 -0.012 0.038
H 5.116315 3.854473 1.334104 -0.032 0.020 -0.013
H 8.292481 1.917084 0.785100 0.033 0.030 0.005
H 7.504544 0.440191 0.217034 -0.003 -0.025 -0.024
H 7.381791 0.911030 1.911420 -0.001 -0.018 0.039
H 5.287028 0.819260 2.762192 0.015 0.013 0.034
H 3.337882 -0.640513 3.111821 -0.019 -0.018 0.044
H 4.245818 1.356036 -1.373884 0.000 0.035 -0.043
C 0.213541 1.046279 -4.319980 0.059 -0.072 -0.023
C -0.507866 2.307217 -3.939797 -0.021 -0.007 0.086
C -0.488029 3.422376 -4.770385 0.010 -0.010 -0.026
C -1.139414 4.591911 -4.410658 0.024 0.051 -0.079
C -1.825458 4.669253 -3.210790 -0.045 0.051 0.039
C -1.861350 3.567198 -2.371806 -0.096 -0.055 0.100
C -1.210108 2.398621 -2.736825 0.245 -0.337 -0.344
Sb -1.300698 0.797376 -1.348853 -0.677 -0.130 1.624
C -3.431297 0.747282 -1.068342 0.075 0.166 -0.445
C -4.069506 0.870909 0.153607 0.068 0.081 0.176
C -5.442809 0.731527 0.273055 -0.047 -0.011 0.072
C -6.201879 0.449441 -0.846029 -0.055 -0.005 0.025
C -5.577452 0.319346 -2.073255 0.043 -0.018 -0.026
C -4.200448 0.465270 -2.210231 -0.048 0.029 0.063
C -3.603434 0.315163 -3.578900 0.095 -0.012 -0.150
C -0.194261 1.858129 0.170801 -0.031 0.230 -0.135
........

Result
# 1
Here is C47H41BN2O2RhS2Sb as an isolated structure from the Open Molecules 2025 dataset. Energies are from the ωB97M-V functional and the def2-TZVPD basis.

The HOMO energy comes out at -7.918 eV. As for the energy relative to the best compared isomer or geometry (same formula, charge and spin): 40.0 kcal per mole. The HOMO-LUMO gap comes out at 6.9 eV. The total energy comes out at -3247.66032 hartree. Its LUMO energy is -1.0 eV.

```
97
Properties=species:S:1:pos:R:3:forces:R:3
Rh -0.579333 -1.658704 -1.036323 -0.775 -0.777 -1.923
S -1.311317 -2.758190 -3.170007 0.207 -0.049 -0.436
C -0.554746 -3.963599 -2.213060 0.160 0.160 0.179
N 0.253440 -3.563119 -1.235439 -0.756 -0.281 -0.204
C 0.715498 -4.613861 -0.469560 0.050 -0.432 0.180
C 1.576759 -4.524122 0.619698 -0.088 -0.012 -0.068
C 1.954213 -5.690244 1.255846 0.036 0.034 0.060
C 1.495874 -6.932320 0.821202 -0.066 -0.103 -0.046
C 0.645276 -7.035074 -0.266356 0.024 -0.027 0.036
C 0.256828 -5.867391 -0.905139 0.054 0.180 -0.003
S -0.793665 -5.675368 -2.292506 0.139 0.114 0.145
H 1.921792 -3.557617 0.953605 -0.008 0.055 0.049
H 2.613128 -5.638893 2.112166 0.018 0.008 0.001
H 1.802445 -7.828734 1.342286 0.011 -0.019 0.001
H 0.287506 -7.998415 -0.602349 0.002 -0.026 -0.012
N -7.371299 -3.187055 6.085790 -0.001 0.000 -0.004
C -6.547456 -3.026559 5.299820 -0.504 -0.098 0.490
C -5.530951 -2.826403 4.331993 0.539 0.055 -0.484
C -5.124739 -1.529984 4.005458 -0.131 -0.170 0.127
C -4.140059 -1.338197 3.063020 0.148 -0.128 -0.134
C -3.543753 -2.430754 2.417403 -0.580 -0.228 0.517
C -3.947398 -3.728473 2.767242 0.113 0.186 -0.101
C -4.929144 -3.926928 3.713241 -0.114 0.177 0.125
C -2.563807 -2.218691 1.425703 0.751 0.160 -0.971
C -1.765132 -1.987276 0.537680 1.250 0.686 0.376
H -5.589355 -0.685340 4.496059 -0.005 -0.005 0.018
H -3.813662 -0.339633 2.810936 -0.015 0.008 -0.014
H -3.476357 -4.572384 2.282371 -0.003 0.005 -0.023
H -5.238040 -4.927399 3.982836 -0.025 -0.002 0.003
C 6.292121 2.671089 -0.847146 0.019 0.007 0.027
C 6.141973 2.099410 0.562150 0.090 0.049 -0.012
C 6.016361 3.273776 1.542480 0.000 -0.006 -0.032
C 7.404796 1.291417 0.891168 -0.005 0.041 -0.021
C 4.917801 1.199719 0.689291 -0.030 -0.002 -0.028
C 4.628552 0.622198 1.927065 0.134 0.068 0.065
C 3.536764 -0.204259 2.143684 -0.237 -0.150 -0.087
C 2.710880 -0.439860 1.065954 0.566 0.399 -0.251
O 1.577892 -1.191123 0.988926 -0.271 -0.187 -0.305
B 1.115861 -1.044011 -0.331336 -0.077 0.891 1.494
O 2.006220 -0.232181 -1.062100 -0.341 -0.468 -0.168
C 2.982928 0.133014 -0.169701 0.151 -0.142 0.370
C 4.074740 0.942225 -0.392295 -0.098 -0.123 0.036
H 7.156433 3.334723 -0.879759 0.034 0.015 -0.002
H 5.417695 3.252267 -1.141864 -0.038 0.038 -0.008
H 6.449932 1.885990 -1.586750 -0.008 -0.045 -0.035
H 6.878271 3.936246 1.450251 0.039 0.022 0.002
H 5.963586 2.932903 2.575486 -0.003 -0.012 0.038
H 5.116315 3.854473 1.334104 -0.032 0.020 -0.013
H 8.292481 1.917084 0.785100 0.033 0.030 0.005
H 7.504544 0.440191 0.217034 -0.003 -0.025 -0.024
H 7.381791 0.911030 1.911420 -0.001 -0.018 0.039
H 5.287028 0.819260 2.762192 0.015 0.013 0.034
H 3.337882 -0.640513 3.111821 -0.019 -0.018 0.044
H 4.245818 1.356036 -1.373884 0.000 0.035 -0.043
C 0.213541 1.046279 -4.319980 0.059 -0.072 -0.023
C -0.507866 2.307217 -3.939797 -0.021 -0.007 0.086
C -0.488029 3.422376 -4.770385 0.010 -0.010 -0.026
C -1.139414 4.591911 -4.410658 0.024 0.051 -0.079
C -1.825458 4.669253 -3.210790 -0.045 0.051 0.039
C -1.861350 3.567198 -2.371806 -0.096 -0.055 0.100
C -1.210108 2.398621 -2.736825 0.245 -0.337 -0.344
Sb -1.300698 0.797376 -1.348853 -0.677 -0.130 1.624
C -3.431297 0.747282 -1.068342 0.075 0.166 -0.445
C -4.069506 0.870909 0.153607 0.068 0.081 0.176
C -5.442809 0.731527 0.273055 -0.047 -0.011 0.072
C -6.201879 0.449441 -0.846029 -0.055 -0.005 0.025